International Women’s Day: Empowering Women to Transform Lives as Social Entrepreneurs

Mar 05, 2015


Lorelei Goodyear
Senior Program Officer, PATH

Adolescent girls in Maharashtra, India.

Lorelei Goodyear is a senior program officer at PATH and a committed advocate for women's health. Her work on PATH's Healthy Households Initiative empowers women through entrepreneurship that enables their communities to live healthier lives. Lorelei, and the women reached through this project, truly know how to #MakeItHappen.

My whole career has focused on increasing options for women and girls so that they can achieve their full potential. I have focused primarily on reproductive health because deciding if and when to become a mother is such a pivotal point in a woman's life. Eight years ago I became a mother and took on a new role leading PATH's research and evaluation on safe water technologies. I quickly learned that diarrhea caused by unsafe water is a leading killer of children and safe water plays a crucial role in maternal and child health.  

There are many effective water treatment methods, but getting people to use them is a big challenge. After experimenting with a variety market models, we had the best results (highest rates of adoption) by training local entrepreneurs to sell water filters in their communities and providing consumer loans that made filters affordable through small payments over time. In nine months, we tripled the use of water filters in a community in Cambodia. We tested the same approach with latrines, and Cambodian customers were four times more likely to buy them when offered a loan.

For our Healthy Household Initiative (HHI), we built on this success and added clean cookstoves and solarlights (to reduce indoor air pollution that contributes to respiratory illnesses). By selling a product bundle, homes would become healthier and social entrepreneurs would have an incentive (profits) to sustain and scale up without relying on donor support.

Early this year, I traveled to Maharashtra, India, to review the results of our first HHI test run. The trip had a profound effect on my understanding of the power of this approach to not only reduce childhood illnesses, but also radically improve the lives of women and girls.

In Maharashtra we brokered a new relationship between Sakhi Unique Rural Enterprise (SURE) and their sister organization Sakhi Samudaya Kosh (SSK). SURE trains women to sell an array of health products. These entrepreneurs are called Sakhis, or “friend” in the local language. SSK makes loans for income generation, but had never offered consumer financing for products sold by Sakhis. The HHI pilot was also the first time Sakhis had ever tried to sell latrines.

Varsha shows the HHI sales flipbook to women in her village.

I met Varsha at a gathering of Sakhis. She wore a bright red sari and spoke in a soft voice. I recognized her as one of the more shy Sakhis I had met 7 months earlier. She said that initially she had serious doubts about trying to sell a bundle of products, especially the latrine, which cost much more than any of her other products (US $200) and was embarrassing to talk about. 

Her husband supported her joining the project, even though it took time away from her being at home and working as a tailor. But her in-laws complained that the HHI training took her away from home and she had nothing to show for it. Her field supervisor encouraged the family to be patient.

After Varsha started earning a ten percent margin on the sale of latrines, filters, stoves, and lamps she became bolder. She even described to me a sales pitch that she presented at a community gathering of 1500 people. As she spoke, her voice became stronger. She started laughing at her own story and positively beamed. After six months, Varsha had earned $630, which is six times what a Sakhi normally earns.  


 Varsha receives an award from Lorelei and a local official for being a top selling Sakhi of HHI products.        

Misplaced crystal structures =
********
1.
Simulated X-ray powder pattern
Compound: KScRe4
Radiation: CuKα
Structure: the PBE geometry in Alexandria
Lines closer than 0.1° are merged.

Crystal structure
a = 7.620 Å, b = 7.620 Å, c = 7.620 Å
α = 90.00°, β = 90.00°, γ = 90.00°
Space group F-43m (No. 216)
One atom of each set of equivalent atoms:
K 0.000 0.000 0.000 x4
Sc 0.250 0.250 0.250 x4
Re 0.125 0.125 0.625 x16

Principal peaks in the range 10 to 90 degrees two-theta, by angle:
- 4.399 Å, 20.18 deg, I 90, (1 1 1)
- 2.694 Å, 33.26 deg, I 3, (2 2 0)
- 2.298 Å, 39.21 deg, I 100, (3 1 1)
- 2.200 Å, 41.03 deg, I 87, (2 2 2)
- 1.905 Å, 47.74 deg, I 34, (4 0 0)
- 1.748 Å, 52.33 deg, I 23, (3 3 1)
- 1.466 Å, 63.43 deg, I 32, (5 1 1)
- 1.347 Å, 69.82 deg, I 34, (4 4 0)
- 1.288 Å, 73.53 deg, I 18, (5 3 1)
- 1.162 Å, 83.12 deg, I 11, (5 3 3)
- 1.149 Å, 84.30 deg, I 34, (6 2 2)
- 1.100 Å, 89.00 deg, I 8, (4 4 4)



2.
Simulated X-ray powder pattern
Compound: KSc2Re
Radiation: CuKα
Structure: the PBE geometry in Alexandria
Lines closer than 0.1° are merged.

Crystal structure
a = 3.326 Å, b = 3.325 Å, c = 10.008 Å
α = 90.00°, β = 90.40°, γ = 90.00°
Space group P2/m (No. 10)
One atom of each set of equivalent atoms:
K 0.000 0.000 0.000 x1
Sc 0.497 0.500 0.350 x2
Re 0.000 0.000 0.500 x1

Principal peaks in the range 10 to 90 degrees two-theta, by angle:
- 5.004 Å, 17.73 deg, I 88, (0 0 2)
- 3.326 Å, 26.80 deg, I 33, (1 0 0)
- 2.779 Å, 32.22 deg, I 34, (1 0 -2)
- 2.769 Å, 32.33 deg, I 67, (0 1 2)
- 2.761 Å, 32.43 deg, I 34, (1 0 2)
- 2.353 Å, 38.26 deg, I 100, (1 1 0)
- 2.289 Å, 39.36 deg, I 47, (1 1 -1)
- 2.132 Å, 42.39 deg, I 20, (1 1 -2)
- 2.124 Å, 42.56 deg, I 19, (1 1 2)
- 2.006 Å, 45.20 deg, I 18, (1 0 -4)
- 1.999 Å, 45.36 deg, I 40, (0 1 4)
- 1.663 Å, 55.25 deg, I 22, (2 0 0)



3.
Simulated X-ray powder pattern
Compound: K2Re3Se6
Radiation: CuKα
Structure: the PBE geometry in Alexandria
Lines closer than 0.1° are merged.

Crystal structure
a = 17.469 Å, b = 10.229 Å, c = 12.504 Å
α = 90.00°, β = 91.65°, γ = 90.00°
Space group C2/c (No. 15)
One atom of each set of equivalent atoms:
K 0.000 0.104 0.250 x4
K 0.000 0.284 0.750 x4
K 0.114 0.262 0.016 x8
Re 0.159 0.344 0.475 x8
Re 0.209 0.109 0.418 x8
Re 0.209 0.178 0.625 x8
Se 0.032 0.464 0.419 x8
Se 0.084 0.135 0.518 x8
Se 0.148 0.086 0.803 x8
Se 0.163 0.408 0.671 x8
Se 0.164 0.277 0.279 x8
Se 0.243 0.457 0.932 x8

Principal peaks in the range 10 to 90 degrees two-theta, by angle:
- 8.731 Å, 10.13 deg, I 100, (2 0 0)
- 7.260 Å, 12.19 deg, I 89, (1 1 -1)
- 7.161 Å, 12.36 deg, I 95, (1 1 1)
- 6.250 Å, 14.17 deg, I 19, (0 0 2)
- 2.958 Å, 30.21 deg, I 10, (4 2 -2)
- 2.507 Å, 35.82 deg, I 11, (4 0 4)
- 2.219 Å, 40.65 deg, I 10, (3 1 5)
- 2.107 Å, 42.92 deg, I 10, (2 4 3)
- 2.018 Å, 44.91 deg, I 20, (4 2 -5)
- 1.990 Å, 45.58 deg, I 11, (8 2 -1)
- 1.974 Å, 45.98 deg, I 11, (8 2 1)
- 1.942 Å, 46.77 deg, I 11, (5 3 -4)



4.
Simulated X-ray powder pattern
Compound: KRe4Se7
Radiation: CuKα
Structure: the PBE geometry in Alexandria
********

I also met Uma, one of Varsha's customers. Over seventy percent of families in Uma's village do not own a latrine, so they have to defecate in the open. Uma had long wanted a latrine, but her husband wasn't interested. She would get up before dawn to do her business under the cover of darkness. She used to go to the field near her house, but farmers chased her away. So she and her daughters squatted along the main dirt road that ran through their village. It was embarrassing when men would come by, but the women wear saris so can just stand up and not be exposed. It is harder for girls, who have to quickly get their pants up.

Between two parts of the piece: calculated crystals:
(1)
Calculated PXRD pattern of Ho5MgFe2 for Cu Ka, from the PBE geometry in Alexandria.
Peak positions follow from Bragg's law for the DFT cell and can differ from measured ones.

Most intense lines, 2θ from 10° to 90°, in order of rising 2θ:
Position (°2θ), I_rel
13.12, 16.9
26.71, 59.3
31.19, 20.4
32.76, 100.0
35.38, 46.4
36.93, 51.5
42.56, 21.3
49.28, 16.1
53.12, 14.8
54.55, 15.0
57.69, 27.4
67.55, 15.5

Structural model:
```
Ho5MgFe2
1.0
-3.8483 3.8483 6.7493
3.8483 -3.8483 6.7493
3.8483 3.8483 -6.7493
Ho Mg Fe
10 2 4
Cartesian
0.0000 0.0000 0.0000
5.1160 1.2677 -1.8058
1.2677 2.5807 -1.8058
5.1160 1.2677 1.8058
1.2677 2.5807 1.8058
0.0000 0.0000 6.7493
2.5807 1.2677 4.9435
-1.2677 2.5807 4.9435
2.5807 1.2677 8.5550
-1.2677 2.5807 8.5550
0.0000 0.0000 3.3746
0.0000 0.0000 10.1239
2.9734 0.8750 0.0000
2.9734 -0.8750 6.7493
0.8750 4.7233 0.0000
0.8750 2.9734 6.7493
```


(2)
Calculated PXRD pattern of Rb2CaErBr6 for Cu Ka, from the PBE geometry in Alexandria.
Peak positions follow from Bragg's law for the DFT cell and can differ from measured ones.

Most intense lines, 2θ from 10° to 90°, in order of rising 2θ:
Position (°2θ), I_rel
13.48, 22.0
15.58, 29.1
22.11, 29.9
27.16, 54.5
31.46, 100.0
35.29, 15.0
38.79, 13.8
45.09, 72.0
53.44, 23.4
56.02, 24.9
74.62, 26.5
83.20, 16.1

Structural model:
```
Rb2CaErBr6
1.0
-4.0177 4.0237 5.6883
4.0177 -4.0237 5.6883
4.0177 4.0237 -5.6883
Rb Ca Er Br
2 1 1 6
Cartesian
0.0000 0.0000 2.8471
0.0000 0.0000 8.5295
0.0000 4.0237 0.0000
4.0177 0.0000 0.0000
2.0363 1.9823 0.0000
4.0177 0.0000 2.8040
5.9991 1.9823 0.0000
-1.9814 2.0415 5.6883
0.0000 4.0237 2.8843
1.9814 2.0415 5.6883
```

~~~~~

No. 1
This entry pairs a crystal structure of Sr2GaSn2Hg4 with its calculated X-ray diffraction stick pattern. Radiation: Cu Kα X-rays. Structure: the GGA-PBE geometry in Alexandria.

Principal peaks in the range 10° ≤ 2θ ≤ 80°, in order of rising 2θ:
h k l  d [Å]  intensity
0 0 2  4.979  18
2 0 2  2.900  100
2 2 0  2.523  45
0 0 4  2.489  19
2 1 3  2.300  12
3 0 3  1.933  9
4 0 0  1.784  14
2 2 4  1.772  25
4 2 2  1.519  23
4 0 4  1.450  12

Atomic structure:
Lattice parameters (Å, degrees): 7.1352 7.1352 9.9580 90.00 90.00 90.00
Space group I4/mmm (No. 139)
Symmetry-distinct sites (fractional):
Sr  0.0000  0.5000  0.2500 (multiplicity 4)
Ga  0.0000  0.0000  0.0000 (multiplicity 2)
Sn  0.0000  0.0000  0.2927 (multiplicity 4)
Hg  0.2275  0.2275  0.5000 (multiplicity 8)



No. 2
This entry pairs a crystal structure of SnSbI5 with its calculated X-ray diffraction stick pattern. Radiation: Cu Kα X-rays. Structure: the GGA-PBE geometry in Alexandria.

Principal peaks in the range 10° ≤ 2θ ≤ 80°, in order of rising 2θ:
h k l  d [Å]  intensity
1 0 1  7.872  85
2 0 2  3.936  27
1 1 -2  3.504  100
0 0 5  3.234  46
1 1 3  3.143  36
2 1 0  3.117  63
3 1 1  2.439  30
2 1 -5  2.252  29
0 2 0  2.147  34
4 0 4  1.970  24

Atomic structure:
Lattice parameters (Å, degrees): 9.0607 4.2947 16.1704 90.00 90.56 90.00
End of the calculated crystals:

Uma's daughter Gita recently started her period. Uma noticed that Gita intentionally ate and drank less during her period to minimize how often she would have to relieve herself. By going less, she tried to avoid the shame she felt because all she had were rags to catch her blood and nowhere to change or clean them.

This renewed Uma's argument that it was time to get a latrine, and her husband finally gave in when he learned she could get a loan. Today, having a latrine makes her feel safer, and she asked if, in the future, we could also offer loans for girls' higher education, because she wants Gita to go to college.

Varsha and Uma taught me that having access to healthy household products and loans is transformative. So much so that we are now seeking funding to expand the model to include an explicit focus on gender equity and women's economic empowerment.

The government of Maharashtra has asked our partners at SURE and SSK to scale up HHI to reach 90,000 households. PATH played a catalytic role in helping launch HHI, but it is our partners and the Sakhi entrepreneurs who are well on their way to taking it to scale. 


Photo credits: PATH.